Input:
........
1.
A structure of composition C52H49N6O2P2S2Ti, computed with ωB97M-V/def2-TZVPD.

Each line ends with the Löwdin charge.
Element x y z (Å)
Ti: 0.032 0.259 0.329  0.337
S: 1.365 1.577 1.335  0.357
S: -1.864 1.411 -0.483  0.308
P: 0.086 -2.500 -1.602  1.202
P: -1.254 3.199 0.518  0.560
O: -2.663 4.061 0.575  -0.395
O: -1.439 2.649 2.062  -0.516
N: 0.216 -0.660 -3.672  -0.035
N: -1.333 -1.516 0.690  0.029
N: 2.487 -3.167 -0.294  -0.034
N: 0.670 0.270 -1.734  -0.008
N: -2.381 -3.054 -0.495  -0.043
N: 1.439 -1.430 0.560  0.015
C: 1.058 4.980 -3.012  -0.082
C: -4.521 -4.883 0.958  -0.043
C: 0.622 1.167 -5.317  -0.200
C: -3.072 0.043 2.847  -0.022
C: -0.137 -1.669 -4.675  0.006
C: -3.160 4.845 -0.517  -0.303
C: -1.290 -2.249 -0.427  -0.432
C: 3.558 0.286 4.972  -0.071
C: -4.023 -0.349 5.024  -0.071
C: 4.422 -3.477 1.281  -0.174
C: -0.492 1.695 -5.963  -0.041
C: -0.403 2.102 -7.286  -0.064
C: 2.276 -0.213 4.785  -0.073
C: -3.341 -2.208 3.659  -0.032
C: -3.617 0.527 4.028  -0.065
C: 0.799 1.981 -7.973  -0.069
C: 2.269 2.921 -1.605  -0.074
C: -4.433 -3.495 0.880  -0.190
C: 1.945 -0.842 3.595  -0.071
C: -5.580 -2.721 1.055  -0.012
C: 3.219 -2.768 0.806  -0.094
C: -0.907 3.508 3.087  -0.327
C: 4.509 -3.869 2.617  -0.018
C: -5.742 -5.493 1.206  -0.068
C: 2.675 4.230 -1.405  -0.064
C: -6.881 -4.718 1.379  -0.070
C: 1.826 1.050 -6.009  -0.018
C: 2.897 -0.983 2.587  -0.248
C: 2.072 5.263 -2.107  -0.070
C: 1.914 1.458 -7.332  -0.064
C: -0.725 2.713 4.367  -0.070
C: 2.765 -4.330 -1.137  -0.001
C: 1.239 2.629 -2.493  -0.167
C: -2.750 -3.940 -1.602  -0.005
C: 0.638 3.672 -3.199  -0.035
C: -2.940 -1.328 2.651  -0.165
C: 2.549 -1.694 1.343  -0.153
C: 6.681 -4.823 2.210  -0.071
C: 0.530 0.660 -3.929  -0.101
C: 5.634 -4.537 3.077  -0.060
C: 4.510 0.151 3.969  -0.063
C: 1.419 -2.349 -0.393  -0.439
C: -3.874 -1.720 4.840  -0.070
C: -2.092 5.628 -1.266  -0.101
C: 4.182 -0.488 2.781  -0.036
C: 6.605 -4.428 0.881  -0.069
C: -6.799 -3.333 1.303  -0.058
C: -2.479 -1.873 1.358  -0.153
C: 0.815 1.234 -2.716  -0.157
C: -3.142 -2.830 0.627  -0.105
C: 5.481 -3.757 0.420  -0.041
C: 0.301 -0.856 -2.343  -0.445
H: -3.228 -3.278 3.518  0.119
H: -1.657 2.621 4.924  0.063
H: -1.597 4.341 3.225  0.114
H: 2.854 1.368 -7.861  0.109
H: 0.947 -1.229 3.441  0.113
H: 4.919 -0.584 1.991  0.124
H: 1.843 -4.669 -1.596  0.065
H: -1.458 6.176 -0.565  0.082
H: 5.445 -3.421 -0.611  0.113
H: -5.505 -1.640 1.002  0.128
H: 2.757 2.117 -1.077  0.076
H: -3.693 4.179 -1.201  0.106
H: 2.697 0.650 -5.499  0.123
H: 0.054 3.908 2.750  0.085
H: -2.560 6.340 -1.948  0.081
H: -2.779 0.732 2.071  0.056
H: -4.179 -2.410 5.618  0.107
H: 3.817 0.784 5.900  0.107
H: 2.388 6.288 -1.950  0.108
H: -3.825 -4.083 -1.587  0.099
H: -2.469 -3.489 -2.548  0.070
H: 5.508 0.546 4.110  0.108
H: 3.692 -3.648 3.294  0.124
H: -3.888 5.523 -0.076  0.114
H: 3.481 -4.086 -1.919  0.097
H: 3.176 -5.126 -0.524  0.103
H: 5.692 -4.836 4.117  0.111
H: -1.084 -2.138 -4.424  0.083
H: -5.803 -6.571 1.275  0.108
H: -2.262 -4.910 -1.512  0.099
H: 7.425 -4.632 0.204  0.109
H: -3.734 1.597 4.156  0.108
H: 0.583 5.780 -3.565  0.110
H: -1.449 4.963 -1.846  0.036
H: -0.180 3.467 -3.875  0.108
H: -1.271 2.517 -7.782  0.110
H: 0.020 3.191 5.008  0.081
H: 3.468 4.440 -0.696  0.110
H: -1.430 1.789 -5.425  0.124
H: -7.834 -5.195 1.574  0.109
H: -7.687 -2.729 1.436  0.111
H: 0.865 2.294 -9.008  0.110
H: -0.233 -1.180 -5.637  0.094
H: -0.369 1.713 4.116  0.057
H: -3.626 -5.488 0.845  0.119
H: 1.532 -0.109 5.567  0.109
H: 7.555 -5.354 2.570  0.109
H: 0.635 -2.432 -4.743  0.095
H: -4.457 0.029 5.941  0.107

The multiplicity is 1. The HOMO energy is -9.80 eV. The calculation puts the energy above the lowest of the compared OMol25 structures with the same formula, charge and spin at 4.0 kcal/mol. The calculation puts the HOMO-LUMO gap at 7.134 eV. Its charge is +1. For the total energy, the calculation gives -131119.572 eV.



2.
A structure of composition C52H50CsN12PS, computed with ωB97M-V/def2-TZVPD.
........
Job:
Could you work out how many lines above have the word "OMol25" in them; a number is enough?
Result:
1